• Job:
Filter the calculation results further down: keep the lines with the word "Sites".

• Input:
'''
# 1
Cs2MgSnI6, optimized geometry, DFT PBE; V = 45.4 Å³ per atom; raw formation energy = -1.07 eV/atom
1.0
-6.5701 -4.9705 2.5693
4.1005 -1.5810 7.4270
-3.9264 1.5851 7.5190
Cs I Mg Sn
2 6 1 1
Cartesian
-5.8657 -3.3306 7.5432 Cs
-0.5304 -1.6359 9.9720 Cs
-3.8126 -4.0946 3.8246 I
1.3430 -2.4569 6.1717 I
-1.8314 -4.8585 7.4131 I
-2.5346 -0.9285 6.2155 I
-0.6382 -1.6930 2.5832 I
-3.8614 -4.0380 11.2998 I
-1.2348 -3.2758 4.9982 Mg
0.0000 0.0000 0.0000 Sn



# 2
Cs3SrMg2I9, optimized geometry, DFT PBE; V = 45.2 Å³ per atom; raw formation energy = -1.35 eV/atom
1.0
-4.5474 7.0620 -1.8149
-1.6407 -4.4419 7.1709
7.0656 5.9052 5.2745
Cs Mg I Sr
3 2 9 1
Cartesian
0.0000 0.0000 0.0000 Cs
-1.3072 5.1257 2.8759 Cs
2.1847 3.3997 7.7546 Cs
-1.4911 0.3275 5.0106 Mg
2.3687 8.1978 5.6199 Mg
0.1073 -0.5544 7.2887 I
-0.8203 -2.2210 3.5855 I
2.9417 5.7075 4.2085 I
-0.0131 6.9586 6.7661 I
0.7703 9.0797 3.3419 I
-2.0642 2.8178 6.4221 I
0.8907 1.5667 3.8645 I
-3.0940 1.3100 2.6780 I
-2.2737 3.5310 -0.9074 I
3.5328 2.9526 2.6372 Sr



# 3
CsSrMgI5, optimized geometry, DFT PBE; V = 52.5 Å³ per atom; raw formation energy = -1.41 eV/atom
1.0
-0.6296 -6.4251 6.2841
8.6636 0.1948 -2.4641
-1.5892 10.0788 5.9387
I Sr Cs Mg
10 2 2 2
Cartesian
-0.2074 -0.5015 6.2504 I
1.7668 -1.7735 2.2569 I
-1.0159 1.7079 9.9797 I
4.6781 5.6221 7.5017 I
7.4607 2.1407 -0.2211 I
4.3861 8.3761 4.1476 I
2.3268 4.2308 3.9511 I
6.6522 4.3500 3.5082 I
4.1181 -0.3823 5.8075 I
2.0587 -4.5276 5.6110 I
-0.7946 5.0394 2.9693 Sr
0.0000 0.0000 0.0000 Sr
5.0168 0.3998 2.0795 Cs
1.4280 3.4488 7.6792 Cs
1.8806 -1.8343 5.0318 Mg
4.5643 5.6829 4.7268 Mg



# 4
Cs2TbMgI6, optimized geometry, DFT PBE; V = 47.7 Å³ per atom; raw formation energy = -1.24 eV/atom
1.0
-8.4529 1.8449 1.4264
1.0792 -1.6603 8.5430
2.9251 11.8999 1.9432
Cs I Mg Tb
4 12 2 2
Cartesian
-2.6858 2.6496 7.6092 Cs
2.4627 8.5086 3.5897 Cs
1.0011 2.5624 2.6187 Cs
-1.2223 8.6034 8.5814 Cs
-4.3699 6.5093 6.3255 I
1.5496 1.7691 6.8949 I
-5.7676 0.5476 5.3287 I
-1.6078 -0.3603 4.6268 I
-0.0769 5.5724 5.6011 I
-2.1253 0.4562 0.4052 I
0.4406 4.7558 9.8226 I
-6.3160 1.3709 1.1124 I
2.9932 7.6420 7.8540 I
-3.2343 3.4430 3.3329 I
-3.8215 5.6860 10.5418 I
-1.7528 9.4699 4.3171 I
0.8102 -1.2464 6.4133 Mg
-2.4948 6.4585 3.8145 Mg
-3.9553 0.5053 2.8595 Tb
2.2706 4.7067 7.3683 Tb

~~~~~

Entry 1:
DFT (PBE-GGA) results for crystalline Pm5Ga3H at its relaxed geometry.

Cell lengths 9.075, 9.075, 9.075 Å; angles 128.65, 128.65, 75.57 degrees
Positions (direct):
Pm 0.000 0.000 0.000
Pm 0.018 0.518 0.839
Pm 0.179 0.018 0.500
Pm 0.321 0.821 0.839
Pm 0.482 0.321 0.500
Pm 0.500 0.500 0.000
Pm 0.518 0.679 0.500
Pm 0.679 0.179 0.161
Pm 0.821 0.982 0.500
Pm 0.982 0.482 0.161
Ga 0.118 0.382 0.500
Ga 0.250 0.250 0.000
Ga 0.382 0.882 0.264
Ga 0.618 0.118 0.736
Ga 0.750 0.750 0.000
Ga 0.882 0.618 0.500
H 0.250 0.750 0.500
H 0.750 0.250 0.500

Calculated values
Calculated total energy: -4.5353 eV per atom
V: 24.64 Å³/atom
SG: I4/mcm, No. 140

Entry 2:
DFT (PBE-GGA) results for crystalline Pm6Ga2H at its relaxed geometry.

Cell lengths 6.426, 8.269, 11.007 Å; angles 90.00, 123.81, 90.00 degrees
Positions (direct):
Pm 0.096 0.159 0.448
Pm 0.096 0.341 0.948
Pm 0.315 0.699 0.444
Pm 0.315 0.801 0.944
Pm 0.344 0.035 0.228
Pm 0.344 0.465 0.728
Pm 0.656 0.535 0.272
Pm 0.656 0.965 0.772
Pm 0.685 0.199 0.056
Pm 0.685 0.301 0.556
Pm 0.904 0.659 0.052
Pm 0.904 0.841 0.552
Ga 0.192 0.119 0.762
Ga 0.192 0.381 0.262
Ga 0.808 0.619 0.738
Ga 0.808 0.881 0.238
H 0.500 0.000 0.500
H 0.500 0.500 0.000

Calculated values
Calculated total energy: -4.5144 eV per atom
V: 27.00 Å³/atom
SG: P2_1/c, No. 14

~~~~~

1.
NiHBr | PBE | relaxed

a b c (Å): 3.4159 3.8618 8.2264
angles (deg): 91.80 91.26 110.10
Closest atoms and distances in Å follow each position.
Sites, in units of the cell vectors:
H: 0.6039 0.7622 0.0465  2 Ni 1.57-1.60
H: 0.3961 0.2378 0.9535  2 Ni 1.57-1.60
Ni: 0.7188 0.4111 0.0979  2 H 1.57-1.60
Ni: 0.2812 0.5889 0.9021  2 H 1.57-1.60
'''

• Done:
Sites, in units of the cell vectors: